How to calculate questionnaire scores when some items require reverse scoring🔗
If you would like to reverse the scoring for some of a participant's questions, we recommend doing so at the stage when subscores are calculated, rather than using a reversed answer scale for individual questions. This is because using a reversed answer scale for some questions can be a source of confusion or can increase the risk of errors when interpreting the data later.
For example, in a set of questions asking participants if they agree or disagree, if a score of "3" indicates that a participant strongly agrees, but you've included some questions with a reverse answer scale (where "3" means they strongly disagreed), then when you are later looking at the responses in your dataset, if you haven't specifically labeled the question as "reversed," then you might misinterpret the reverse-answer questions and think that a "3" meant that the participant strongly agreed with whatever the question was asking. This makes it harder to quickly review your CSV data file, and comes with a higher risk of your data being misinterpreted by other researchers (or even by yourself when you come back to it some time after administering it).
Another example would be if you reverse coded the "I often feel calm" question because it's part of a neuroticism scale. Then, when you see "I often feel calm" in your data set and a participant has a high score, you're likely to assume this means they are a calm person, forgetting that you reverse coded it! Instead, code it the normal way (not reversed coded) and just subtract it rather than adding it to your neuroticism subscale.
Good reverse scoring example🔗
Here's a good example of how to use a reverse-coded question in a summary variable:
In the example above, the hypothetical score, satisfactionScoreTotal
, is created using the positive value of one scale and the negative value of the other scale. This allows the satisfactionScoreTotal
to reflect satisfaction, without changing the interpretability of participants' responses to the question, "I am dissatisfied with my life," (since a seven in response to that question still represents agreement and will therefore still be easy to interpret in your CSV data file).
Bad reverse scoring example🔗
Here's a bad example of how to use reverse-scoring for some questions, making the CSV difficult to read:
In the example above, the hypothetical score, satisfactionScoreTotal
, is created by adding the satisfactionScore
### Materials data, kept here for reference
'''
Starting from a crystal structure in Alexandria, relaxed with GGA-PBE, the powder X-ray diffraction pattern of Zn8B4H3O15F was calculated for CuKα.
Lines closer than 0.1° are merged.

Atomic structure:
a b c (Å): 5.006 8.461 10.094
angles (deg): 77.12 89.86 89.92
Fractional positions:
Zn  0.000  0.000  0.000
Zn  0.001  0.509  0.498
Zn  0.012  0.881  0.353
Zn  0.018  0.378  0.869
Zn  0.496  0.938  0.815
Zn  0.499  0.439  0.317
Zn  0.511  0.064  0.457
Zn  0.513  0.564  0.964
B  0.007  0.734  0.865
B  0.008  0.236  0.364
B  0.510  0.709  0.451
B  0.512  0.205  0.956
H  0.329  0.175  0.648
H  0.354  0.683  0.152
H  0.844  0.760  0.167
O  0.283  0.240  0.347
O  0.283  0.736  0.855
O  0.374  0.065  0.953
O  0.375  0.855  0.430
O  0.376  0.566  0.452
O  0.378  0.350  0.947
O  0.459  0.091  0.642
O  0.506  0.610  0.148
O  0.785  0.707  0.468
O  0.788  0.201  0.965
O  0.870  0.876  0.864
O  0.871  0.375  0.373
O  0.871  0.589  0.880
O  0.872  0.091  0.375
O  0.998  0.831  0.170
F  0.046  0.358  0.677

Principal peaks in the range 2θ from 10° to 90°, by angle:
- 18.0°, 4.920 Å, rel. 100, hkl 0 0 2
- 21.6°, 4.113 Å, rel. 67, hkl 1 1 1
- 21.7°, 4.097 Å, rel. 40, hkl -1 1 1
- 26.9°, 3.312 Å, rel. 14, hkl 0 1 3
- 31.3°, 2.862 Å, rel. 21, hkl 0 2 -2
- 32.4°, 2.762 Å, rel. 35, hkl -1 1 3
- 35.9°, 2.504 Å, rel. 31, hkl 2 0 0
- 36.4°, 2.469 Å, rel. 23, hkl 1 -1 3
- 36.6°, 2.456 Å, rel. 15, hkl 1 3 1
- 38.2°, 2.356 Å, rel. 15, hkl 0 2 4


(1)
Structure and simulated X-ray powder pattern of Pm6InRu (a crystal structure in Alexandria, relaxed with PBE; Cu Kα (weighted mean of Kα1 and Kα2)).
Intensities are scaled so that the largest is 100.

Atomic structure:
a = 9.6748 Å, b = 9.6748 Å, c = 9.6748 Å
α = 149.14°, β = 149.14°, γ = 44.21°
Atoms (fractional coordinates):
Pm 0.1024 0.6024 0.5000
Pm 0.2480 0.2480 0.0000
Pm 0.3976 0.8976 0.5000
Pm 0.6024 0.1024 0.5000
Pm 0.7520 0.7520 0.0000
Pm 0.8976 0.3976 0.5000
In 0.0000 0.0000 0.0000
Ru 0.5000 0.5000 0.0000

The 10 most intense peaks (10° ≤ 2θ ≤ 90°), by angle:
| Position (°2θ) | Rel. int. |
| --- | --- |
| 26.42 | 9 |
| 29.90 | 8 |
| 31.66 | 100 |
| 34.85 | 46 |
| 39.00 | 8 |
| 46.57 | 9 |
| 50.11 | 16 |
| 54.27 | 12 |
| 57.28 | 8 |
| 60.50 | 31 |

(2)
Structure and simulated X-ray powder pattern of CaPmCo (a crystal structure in Alexandria, relaxed with PBE; Cu Kα (weighted mean of Kα1 and Kα2)).
Intensities are scaled so that the largest is 100.

Atomic structure:
a = 7.5002 Å, b = 7.2378 Å, c = 6.7761 Å
α = 90.00°, β = 112.58°, γ = 90.00°
Atoms (fractional coordinates):
Ca 0.2025 0.1824 0.0170
Ca 0.2025 0.3176 0.5170
Ca 0.7975 0.6824 0.4830
Ca 0.7975 0.8176 0.9830
Pm 0.3269 0.6763 0.9571
Pm 0.3269 0.8237 0.4571
Pm 0.6731 0.1763 0.5429
Pm 0.6731 0.3237 0.0429
Co 0.4721 0.0404 0.8218
Co 0.4721 0.4596 0.3218
Co 0.5279 0.5404 0.6782
Co 0.5279 0.9596 0.1782

The 10 most intense peaks (10° ≤ 2θ ≤ 90°), by angle:
| Position (°2θ) | Rel. int. |
| --- | --- |
| 12.78 | 100 |
| 17.73 | 39 |
| 28.55 | 59 |
| 28.94 | 17 |
'''
### End of the materials data
and the dissatsifactionScore
. Although there's nothing inherently wrong with doing this per se, if the person strongly disagreed with the statement, the data CSV will now contain a "3" as their dissatisfactionScore
. If someone were to read that score out of context (e.g., later on, if they review the CSV without the program code in front of them), they may conclude that that respondent had strongly agreed that they were dissatisfied with their life. A slightly better option would have been to save the answer as REVERSEDdissatisfactionScore
so that its meaning was more readily apparent; but this is still less intuitive to interpret (and it will likely take longer to process the double negative inherent in saying that someone disagreed that they were dissatisfied with their life) than the results of the good example above.
Next: How and when to use slider questions